Superhuman Energy Cultivated by Meditators: It’s Science
The energy emitted by people who have reached an advanced level in meditation practice has been shown by multiple studies to exceed normal human levels by hundreds or thousands of times.
Here’s a look at a few such studies.
1. Gamma Waves Off the Charts
Neuroscientist Richard Davidson’s 2004 study on the energy emitted by Tibetan meditating monks is chronicled by Stanford University.
Davidson tested the Dalai Lama’s most advanced monks, each with 15 to 40 years of meditation practice. He measured the gamma waves emitted by their brains with electroencephalograph (EEG) testing and brain scanning. A control group of 10 students with no previous meditation experience was also tested after a week of training.
Gamma waves are described as “some of the highest-frequency and most important electrical brain waves.” The production of gamma waves requires thousands of nerve cells to act at extremely high speeds in unison.
Davidson found some of the monks produced gamma wave activity more powerful and of higher amplitude than any documented case in history. The movement of the waves was also far better organized than the non-meditating test volunteers.
The Tian Tan Buddha in Hong Kong. (Shutterstock)
2. Qigong Masters Emit Infrasonic Waves 100–1,000 Times Above Normal Levels
In 1998, Professor Lu Yanfang and dozens of American scientists conducted research on qigong masters in China.
Qigong is an ancient practice that involves cultivating energy, not only by doing meditative exercises, but also by improving mind and heart nature, as the mind and body are said to be one. It is known to have healing effects.
In her research, she had found that Qigong masters were able to emit powerful bursts of infrasonic waves, 100 to 1000 times as strong as average individuals.
_The page is interrupted by materials data_
LaAl2ZnCu2: computed XRD peak list (a wavelength of 1.5418 Å), based on a crystal structure in Alexandria, relaxed with GGA-PBE.
Kinematic intensities with the Lorentz-polarization factor, no thermal factor.

Principal peaks in the range 2θ = 10–90°, by angle:
| hkl | d [Å] | 2theta | I/Imax |
| --- | --- | --- | --- |
| 1 0 0 | 4.485 | 19.80 | 828 |
| 1 1 0 | 3.171 | 28.14 | 234 |
| 0 0 2 | 2.876 | 31.10 | 505 |
| 1 1 1 | 2.777 | 32.23 | 905 |
| 1 0 2 | 2.421 | 37.14 | 1000 |
| 2 0 0 | 2.242 | 40.22 | 933 |
| 2 0 2 | 1.768 | 51.69 | 470 |
| 2 1 2 | 1.645 | 55.89 | 598 |
| 2 2 0 | 1.586 | 58.18 | 303 |
| 2 0 4 | 1.210 | 79.12 | 237 |

```
6
Lattice="4.485 0.000 0.000 0.000 4.485 0.000 0.000 0.000 5.752" Properties=species:S:1:pos:R:3 pbc="T T T"
La 0.000 0.000 0.000
Al 2.242 2.242 1.411
Al 2.242 2.242 4.341
Zn 0.000 0.000 2.876
Cu 0.000 2.242 2.876
Cu 2.242 0.000 2.876
```

* * * * *

Structure and computed powder diffraction line list of LiCu3PbS4 (a DFT-relaxed cell (PBE, OQMD); Cu Kα X-rays).
Lines closer than 0.1° are merged.

abc: 5.6753 5.6753 5.6753
angles: 90.00 90.00 90.00
Space group P-43m (No. 215)
Inequivalent atoms, fractional coordinates:
1 Li 0.0000 0.0000 0.0000 x1
2 Cu 0.0000 0.5000 0.5000 x3
3 Pb 0.5000 0.5000 0.5000 x1
4 S 0.2410 0.2410 0.2410 x4

The 8 most intense peaks (10 to 90 degrees two-theta), by angle:
| (hkl) | 2theta | d [Å] | I/Imax |
| --- | --- | --- | --- |
| 1 0 0 | 15.61 | 5.675 | 100 |
| 1 1 0 | 22.15 | 4.013 | 26 |
| 2 0 0 | 31.53 | 2.838 | 23 |
| 2 1 0 | 35.36 | 2.538 | 63 |
| 2 2 0 | 45.19 | 2.007 | 61 |
| 3 0 0 | 48.10 | 1.892 | 31 |
| 3 2 2 | 68.12 | 1.376 | 19 |
| 4 2 2 | 83.44 | 1.158 | 20 |

* * * * *

This entry pairs a crystal structure of Li4CaPb2 with its theoretical powder XRD pattern. Radiation: Cu Kα, 1.54184 Å. Structure: the PBE geometry in Alexandria.

Most intense lines, 10 to 90 degrees two-theta, sorted by position:
2θ/deg	I/Imax
21.81	44
24.09	100
24.42	27
30.77	15
31.04	24
38.04	25
39.67	34
43.69	15
45.91	16
59.89	21

Crystal structure
```
data_Li4CaPb2
_cell_length_a 8.1503
_cell_length_b 8.1503
_cell_length_c 4.8120
_cell_angle_alpha 90.00
_cell_angle_beta 90.00
_cell_angle_gamma 90.00
_symmetry_space_group_name_H-M 'P 1'
_symmetry_Int_Tables_number 1
loop_
_symmetry_equiv_pos_as_xyz
'x,y,z'
loop_
_atom_site_label
_atom_site_fract_x
_atom_site_fract_y
_atom_site_fract_z
Li1 0.1105 0.3619 0.0000
Li2 0.1381 0.6105 0.5000
Li3 0.3619 0.1105 0.0000
Li4 0.3895 0.8619 0.5000
Li5 0.6105 0.1381 0.5000
Li6 0.6381 0.8895 0.0000
Li7 0.8619 0.3895 0.5000
Li8 0.8895 0.6381 0.0000
Ca1 0.0000 0.0000 0.5000
Ca2 0.5000 0.5000 0.0000
Pb1 0.2082 0.7918 0.0000
Pb2 0.2918 0.2918 0.5000
Pb3 0.7082 0.7082 0.5000
Pb4 0.7918 0.2082 0.0000
```

---

This entry pairs a crystal structure of TbEr6Te8 with its theoretical powder XRD pattern. Radiation: Cu Kα, 1.54184 Å. Structure: the PBE geometry in Alexandria.

Most intense lines, 10 to 90 degrees two-theta, sorted by position:
2θ/deg	I/Imax
12.59	3
14.55	3
After even just a few weeks of training, beginners in the practice had five times the infrasonic energy they had produced before the training.
A similar study at the Beijing College of Traditional Chinese Medicine, published in 1988, found the qi emitted by qigong masters could be measured in part as infrasonic waves 100 times stronger than that of an ordinary person. Both studies are detailed by the China Healthways Institute.
3. Monks Emit Heat Where Others Could Freeze to Death
An experiment conducted on Tibetan monks in northern India is described in a 2002 Harvard University Gazette article.
The monks, thinly clad, were put in a room where the temperature was 40 degrees Fahrenheit (4 degrees Celsius). They entered a state of deep meditation. Sheets soaked in cold water were draped over their shoulders.
Under these conditions, an ordinary person would shiver uncontrollably and the drop in body temperature could even result in death, explains the article.
Herbert Benson, who had studied the meditation technique for 20 years, told the Gazette: “Buddhists feel the reality we live in is not the ultimate one. There’s another reality we can tap into that’s unaffected by our emotions, by our everyday world. Buddhists believe this state of mind can be achieved by doing good for others and by meditation.”
He said the heat emanated from their bodies was just a by-product of the meditation.
Many such experiments have been performed on people who practice meditation and it has been found that some of them are able to emanate great amounts of various kinds of energy that can be measured. They are also able to control metabolism and other bodily processes.
A Falun Dafa practitioner meditating. (Jeff Nenarella/Epoch Times)
4. Amazing Healing Effects
Many Practitioners of Falun Dafa, also known as Falun Gong, have reportedly been cured of chronic and serious illnesses. Falun Dafa is a meditation discipline that cultivates the mind as well as the body. Its three main principles are truthfulness, compassion, tolerance.
Medical writer Lara C. Pullen interviewed some Falun Dafa practitioners in 2000 for an article published in CBS Health Watch.
Sen Yang, then 39, of Chicago was diagnosed with chronic hepatitis. He told Pullen: “A doctor told me directly, ‘There is no way to really cure your disease. You will have it for the rest of your life.’”
“At the beginning my physical condition changed very fast. When walking, I felt [that] my body was so light that I could almost float up,” he said.
Falun Dafa practitioners explained that the practice is not meant to heal illnesses, but it is a natural effect of improving one’s mind and of doing the meditative exercises, which strengthen energy in the body among other effects.
Zhi Ping Kolouch, a 43-year-old Falun Dafa practitioner, told Pullen: “If a person is miserable inside their heart, then they will get sick.”